Wednesday, 27 November 2024

96 RS - Stari Ras and Sopoćani (1979)

Stari Ras and Sopoćani

On the outskirts of Stari Ras, the first capital of Serbia, there is an impressive group of medieval monuments consisting of fortresses, churches and monasteries. The monastery at Sopoćani is a reminder of the contacts between Western civilization and the Byzantine world.



Source UNESCO WH website

  • 96-001 Mediaeval Town of Ras Serbia
  • 96-002 Sopoćani Monastery
  • 96-003 St. Peter's Church
  • 96-004 Monastery of Djurdjevi Stupovi
96-002 Sopoćani Monastery

RS5538 - Smederevo Fortress (2010)


Monday, 25 November 2024

740 GB - Gough and Inaccessible Islands (1995)

Gough and Inaccessible Islands
The site, located in the south Atlantic, is one of the least-disrupted island and marine ecosystems in the cool temperate zone. The spectacular cliffs of Gough and Inaccessible Islands, towering above the ocean, are free of introduced mammals and home to one of the world’s largest colonies of sea birds. Gough Island is home to two endemic species of land birds, the gallinule and the Gough rowettie, as well as to 12 endemic species of plants, while Inaccessible Island boasts two birds, eight plants and at least 10 invertebrates endemic to the island.


Source UNESCO WH website

740-001 Gough Island Wildlife Reserve
740-002 Inaccessible Island

Courtesy of Iris from Tristan da Cunha
740-002 Inaccessible Island

AD6505 - Les témoignages matériels de la construction de l’État des Pyrénées : la Co-principauté d’Andorre (2021)

  1. Église de Sant Joan de Caselles
  2. Église de Sant Romà de les Bons
  3. Église de Sant Martí de la Cortinada
  4. Église de Sant Climent de Pal
  5. Casa de la Vall
  6. Église de Santa Coloma
  7. Église de Sant Serni de Nagol
  8. Église de Sant Miquel d’Engolasters
  9. Zone archéologique du Roc d’Enclar
  10. Zone archéologique de la Roureda de la Margineda
  11. Château de Foix
  12. L’ensemble de la cathédrale de la Seu d’Urgell

Courtesy of Svea from Germany
01 Església de Sant Joan de Caselles

Courtesy of Svea from Germany
06 Église de Santa Coloma

Wednesday, 20 November 2024

TN6537 - Le site archéologique de Sbeïtla


TN5689 - Médina de Sfax


Les Remparts, Vierge

TN6444 - Habitat troglodytique et le monde des ksour du Sud tunisien


Matmata el Guédima

Matmata el Guédima

1058 MA - Portuguese City of Mazagan (El Jadida) (2004)

 Portuguese City of Mazagan (El Jadida)

The Portuguese fortification of Mazagan, now part of the city of El Jadida, 90-km southwest of Casablanca, was built as a fortified colony on the Atlantic coast in the early 16th century. It was taken over by the Moroccans in 1769. The fortification with its bastions and ramparts is an early example of Renaissance military design. The surviving Portuguese buildings include the cistern and the Church of the Assumption, built in the Manueline style of late Gothic architecture. The Portuguese City of Mazagan - one of the early settlements of the Portuguese explorers in West Africa on the route to India - is an outstanding example of the interchange of influences between European and Moroccan cultures, well reflected in architecture, technology, and town planning.



Source UNESCO WH website

Courtesy of abouelhouda from postcrossing forum

1229 SY - Crac des Chevaliers and Qal’at Salah El-Din (2006)

Crac des Chevaliers and Qal’at Salah El-Din

These two castles represent the most significant examples illustrating the exchange of influences and documenting the evolution of fortified architecture in the Near East during the time of the Crusades (11th - 13th centuries). The Crac des Chevaliers was built by the Hospitaller Order of Saint John of Jerusalem from 1142 to 1271. With further construction by the Mamluks in the late 13th century, it ranks among the best-preserved examples of the Crusader castles. The Qal’at Salah El-Din (Fortress of Saladin), even though partly in ruins, represents an outstanding example of this type of fortification, both in terms of the quality of construction and the survival of historical stratigraphy. It retains features from its Byzantine beginnings in the 10th century, the Frankish transformations in the late 12th century and fortifications added by the Ayyubid dynasty (late 12th to mid-13th century).

== Misplaced calculated crystals ==
# 1
# Pa2Ni3P4Rh

A relaxed Pa2Ni3P4Rh crystal (PBE, the Alexandria database).

Lattice parameters (Å, degrees): 4.1003 4.1003 8.9122 90.00 90.00 90.00
With the nearest neighbours (Å) after each atom.
Space group P-4m2 (No. 115)
One atom of each set of equivalent atoms:
Pa (0.0000, 0.5000, 0.2418) x2  8 P 2.97-3.08, 7 Ni 3.08-3.13, 2 Rh 3.08
Ni (0.0000, 0.5000, 0.8906) x2  5 P 2.23-2.27
Ni (0.5000, 0.5000, 0.5000) x1  4 P 2.40
P (0.0000, 0.0000, 0.0000) x1  4 Ni 2.27
P (0.0000, 0.5000, 0.6401) x2  3 Ni 2.23-2.40, 2 Rh 2.40
P (0.5000, 0.5000, 0.0000) x1  4 Ni 2.27
Rh (0.0000, 0.0000, 0.5000) x1  4 P 2.40

Output
Energy of formation from the pure elements ... -0.929 eV per atom
Total magnetic moment ... 0.000 μB/f.u.

***

# 2
# Nd2Ho6Tm

A relaxed Nd2Ho6Tm crystal (PBE, the Alexandria database).

Lattice parameters (Å, degrees): 12.7715 14.2629 6.5544 90.00 104.19 90.00
With the nearest neighbours (Å) after each atom.
Space group C2/c (No. 15)
One atom of each set of equivalent atoms:
Nd (0.1439, 0.0253, 0.3742) x8  3 Nd 3.36-3.64, 7 Ho 3.40-3.66
Ho (0.0360, 0.1885, 0.0044) x8  5 Ho 3.24-3.56, 1 Tm 3.30, 3 Nd 3.40-3.54
Ho (0.1313, 0.4089, 0.8137) x8  3 Ho 3.25-3.42, 1 Tm 3.38, 2 Nd 3.51-3.52
Ho (0.2402, 0.2010, 0.7294) x8  6 Ho 3.35-3.52, 2 Nd 3.44-3.66, 1 Tm 3.50
Tm (0.0000, 0.3832, 0.2500) x4  10 Ho 3.30-3.68

Output
Energy of formation from the pure elements ... 0.114 eV per atom
Total magnetic moment ... 0.000 μB/f.u.

***

# 3
# Mg4SnH

A relaxed Mg4SnH crystal (PBE, the Alexandria database).

Lattice parameters (Å, degrees): 5.5192 7.7871 5.8113 90.00 92.59 90.00
With the nearest neighbours (Å) after each atom.
Space group P2_1/c (No. 14)
One atom of each set of equivalent atoms:
Mg (0.1552, 0.2190, 0.2557) x4  1 H 2.40
Mg (0.3112, 0.6402, 0.9937) x4  1 H 2.04
Sn (0.5000, 0.0000, 0.0000) x2  10 Mg 2.99-3.28
H (0.0000, 0.0000, 0.5000) x2  2 Mg 2.04

Output
Uncorrected energy ... -13.413 eV/f.u.
Total magnetic moment ... 0.000 μB/f.u.

***

# 4
# YTc2Sn2

A relaxed YTc2Sn2 crystal (PBE, the Alexandria database).

Lattice parameters (Å, degrees): 7.7867 7.7867 3.2684 90.00 90.00 90.00
With the nearest neighbours (Å) after each atom.
Space group P4/mbm (No. 127)
One atom of each set of equivalent atoms:
Y (0.0000, 0.0000, 0.0000) x2  4 Tc 3.04, 2 Y 3.27, 8 Sn 3.35
Tc (0.1326, 0.3674, 0.0000) x4  6 Sn 2.81, 1 Tc 2.92, 2 Y 3.04
Sn (0.1603, 0.6603, 0.5000) x4  6 Tc 2.81

Output
Energy of formation from the pure elements ... -0.042 eV per atom
Total magnetic moment ... 0.304 μB/f.u.


Entry 1:
Computed, not measured: an optimized crystal structure of Pm16Sm7Ho6 at the PBE level of DFT.

Computed properties:
Its crystal system is cubic. The formation energy is 226 meV/atom. Its total magnetization is 0.0 μB per formula unit. Its density of states at the Fermi level is 1.4148 states/eV/atom.

Cell lengths 15.999, 15.999, 15.999 Å; angles 90.00, 90.00, 90.00 degrees
Space group Fm-3m (No. 225)
One atom of each set of equivalent atoms:

Source UNESCO WH website

  • 1229-001 Crac des Chevaliers
  • 1229-002 Qal’at Salah El-Din

403 TZ - Kilimanjaro National Park (1987)

 Kilimanjaro National Park

At 5,895 m, Kilimanjaro is the highest point in Africa. This volcanic massif stands in splendid isolation above the surrounding plains, with its snowy peak looming over the savannah. The mountain is encircled by mountain forest. Numerous mammals, many of them endangered species, live in the park.



Source UNESCO WH website

Friday, 15 November 2024

TR5900 - İznik

 Known as Nicaea since ancient times, İznik is located on eastern shore of Lake İznik (Askania Limne) surrounded by ranges of hills within the Bithynia (Marmara) region of Anatolia. There has been human settlement on İznik since prehistory, as witnessed by discoveries of several mounds and tumuli around. According to geographer Strabo, the ancient town was founded in 316 BC by Antigonos, the commanders of Alexander the Great (356-323 B.C). It is also reported that Lysimachos, another general of Alexander, took the city and renamed it after his wife Nicaea. It was during this Hellenistic period that the settlement was planned as a rectangular city with its four gates and two major roads intersecting at the centre.

Thursday, 14 November 2024

1359 SN - Saloum Delta (2011)

 Saloum Delta

Fishing and shellfish gathering have sustained human life in the 5,000 km2 property, which is formed by the arms of three rivers. The site comprises brackish channels encompassing over 200 islands and islets, mangrove forest, an Atlantic marine environment, and dry forest.

The site is marked by 218 shellfish mounds, some of them several hundreds metres long, produced by its human inhabitants over the ages. Burial sites on 28 of the mounds take the form of tumuli where remarkable artefacts have been found. They are important for our understanding of cultures from the various periods of the delta's occupation and testify to the history of human settlement along the coast of West Africa.

萨卢姆河三角洲(Saloum Delta,塞内加尔)是作为文化遗产列入名录的,占地5000平方公里,区内物种丰富的生态系统为生活在此的2000多人提供了生活的保障,他们的主要生活来源是捕鱼业和贝类采集。三角洲位于三条河流的河汊之间,由半咸水水道环绕着200多座大小岛屿、红树林、大西洋海洋环境及干树林所组成。 在三角洲内发现了由当地居民在数千年中建造的218座人工贝冢,有些贝冢长达几百米。在28座采取了古坟的形制的埋葬场所中,出土了不同寻常的人工制品,为我们了解三角洲不同时期文化提供了重要的依据,同时它们也是西非海岸人居历史的重要见证。

Source UNESCO WH website

Wednesday, 13 November 2024

1490 UZ - Western Tien-Shan (2016)

 Western Tien-Shan

The transnational property is located in the Tien-Shan mountain system, one of the largest mountain ranges in the world. Western Tien-Shan ranges in altitude from 700 to 4,503 m. It features diverse landscapes, which are home to exceptionally rich biodiversity. It is of global importance as a centre of origin for a number of cultivated fruit crops and is home to a great diversity of forest types and unique plant community associations. 



Source UNESCO WH website

  • 1490-001 Karatau State Nature Reserve (Kazakhstan)
  • 1490-002 Aksu-Jabagly State Nature Reserve – main part
  • 1490-003 Aksu-Jabagly State Nature Reserve – Karabastau paleontological area
  • 1490-004 Aksu-Jabagly State Nature Reserve – Aulie paleontological area
  • 1490-005 Sairam-Ugam State National Nature Park – Boraldaitau area
  • 1490-006 Sairam-Ugam State National Nature Park – Irsu-Daubabin area
  • 1490-007 Sairam-Ugam State National Nature Park – Sairam-Ugam area
  • 1490-008 Sary-Chelek State Biosphere Nature Reserve
  • 1490-009 Besh-Aral State Nature Reserve – main part
  • 1490-010 Besh-Aral State Nature Reserve - Shandalash area
  • 1490-011 Padysha-Ata State Nature Reserve
  • 1490-012 The Chatkal State Biosphere Nature Reserve – Maidantal area
  • 1490-013 The Chatkal State Biosphere Nature Reserve – Bashkizilsay area
1490-012 The Chatkal State Biosphere Nature Reserve – Maidantal area

1519 TR - Aphrodisias (2017)

 Located in southwestern Turkey, in the upper valley of the Morsynus River, the site consists of two components: the archaeological site of Aphrodisias and the marble quarries northeast of the city. The temple of Aphrodite dates from the 3rd century BC and the city was built one century later. The wealth of Aphrodisias came from the marble quarries and the art produced by its sculptors. The city streets are arranged around several large civic structures, which include temples, a theatre, an agora and two bath complexes.

Source UNESCO WH website

  • 1519-001 Archaeological Site of Aphrodisias
  • 1519-002 Ancient Marble Quarries

1103 KZ - Mausoleum of Khoja Ahmed Yasawi (2003)

 Mausoleum of Khoja Ahmed Yasawi

The Mausoleum of Khoja Ahmed Yasawi, in the town of Yasi, now Turkestan, was built at the time of Timur (Tamerlane), from 1389 to 1405. In this partly unfinished building, Persian master builders experimented with architectural and structural solutions later used in the construction of Samarkand, the capital of the Timurid Empire. Today, it is one of the largest and best-preserved constructions of the Timurid period.



Source UNESCO WH website

1654 RU - Petroglyphs of Lake Onega and the White Sea (2021)

 Petroglyphs of Lake Onega and the White Sea

The site contains 4,500 petroglyphs carved in the rocks during the Neolithic period dated about 6-7 thousand years ago and located in the Republic of Karelia in the Russian Federation. It is one of the largest such sites in Europe with petroglyphs that document Neolithic culture in Fennoscandia. The serial property encompasses 33 rock art panels in two component parts 300km apart: 22 petroglyph groups at Lake Onega in the District of Pudozhsky featuring a total of over 1,200 figures and 3,411 figures in 11 groups by the White Sea in the District of Belomorsky. The rock art figures at Lake Onega mostly represents birds, animals, half human and half animal figures as well as geometric shapes that may be symbols of the moon and the sun. The petroglyphs of the White Sea are mostly composed of carvings depicting hunting and sailing scenes including their related equipment as well as animal and human footprints. They show significant artistic qualities and testify to the creativity of the Stone Age. The petroglyphs are associated with sites including settlements and burial grounds.



Source UNESCO WH website

  • 1654-001 Petroglyphs of the Lake Onega
  • 1654-002 Petroglyphs of the White Sea
1654-001 Petroglyphs of the Lake Onega

1685 TJ - Tugay forests of the Tigrovaya Balka Nature Reserve (2023)

 Tugay forests of the Tigrovaya Balka Nature Reserve

This property is located between the Vakhsh and Panj rivers in southwestern Tajikistan. The Reserve includes extensive riparian tugay ecosystems, the sandy Kashka-Kum desert, the Buritau peak, as well as the Hodja-Kaziyon mountains. The property is composed of a series of floodplain terraces covered by alluvial soils, comprising tugay riverine forests with very specific biodiversity in the valley. The tugay forests in the reserve represent the largest and most intact tugay forest of this type in Central Asia, and this is the only place in the world where the Asiatic poplar tugay ecosystem has been preserved in its original state over an area of this size.



Source UNESCO WH website

1252 TJ - Tajik National Park (Mountains of the Pamirs) (2013)

Tajik National Park (Mountains of the Pamirs)

Tajikistan National Park covers more than 2.5 million hectares in the east of the country, at the centre of the so-called “Pamir Knot”, a meeting point of the highest mountain ranges on the Eurasian continent. It consists of high plateaux in the east and, to the west, rugged peaks, some of them over 7,000 meters high, and features extreme seasonal variations of temperature. The longest valley glacier outside the Polar region is located among the 1,085 glaciers inventoried in the site, which also numbers 170 rivers and more than 400 lakes. Rich flora species of both the south-western and central Asian floristic regions grow in the Park which shelters nationally rare and threatened birds and mammals (Marco Polo Argali sheep, Snow Leopards and Siberian Ibex and more). Subject to frequent strong earthquakes, the Park is sparsely inhabited, and virtually unaffected by agriculture and permanent human settlements. It offers a unique opportunity for the study of plate tectonics and subduction phenomena.

Source UNESCO WH website

Sunday, 10 November 2024

1661 LT - Modernist Kaunas: Architecture of Optimism, 1919-1939 (2023)

 Modernist Kaunas: Architecture of Optimism, 1919-1939

This property testifies to the rapid urbanization that transformed the provincial town of Kaunas into a modern city that became Lithuania’s provisional capital between the First and Second World Wars. Its community-driven transformation of an urban landscape was adapted from an earlier town layout. The quality of modern Kaunas was manifested through the spatial organization of the Naujamiestis (New Town) and Žaliakalnis (Green Hill) areas, and in public buildings, urban spaces and residences constructed during the interwar period that demonstrate a variety of styles in which the Modern Movement found architectural expression in the city.



Source UNESCO WH website

Vytautas the Great War Museum

M.K. Čiurlionis Museum of Art

516 ML - Cliff of Bandiagara (Land of the Dogons) (1989)

Brief Description

"The Bandiagara site is an outstanding landscape of cliffs and sandy plateaux with some beautiful architecture (houses, granaries, altars, sanctuaries and Togu Na, or communal meeting-places). Several age-old social traditions live on in the region (masks, feasts, rituals, and ceremonies involving ancestor worship). The geological, archaeological and ethnological interest, together with the landscape, make the Bandiagara plateau one of West Africa's most impressive sites."



Source UNESCO WH website

Courtesy of vykortsfantast from postcrossing forum

99 AL/MK - Natural and Cultural Heritage of the Ohrid region (1979)

Brief Description

"Situated on the shores of Lake Ohrid, the town of Ohrid is one of the oldest human settlements in Europe. Built mainly between the 7th and 19th centuries, it has the oldest Slav monastery (St Pantelejmon) and more than 800 Byzantine-style icons dating from the 11th to the end of the 14th century. After those of the Tretiakov Gallery in Moscow, this is considered to be the most important collection of icons in the world."



Source UNESCO WH website

Courtesy of Animak from Macedonia

Courtesy of MsMoney from postcrossing forum
Courtesy of Saint from Finland
Monastery of Saint Naum (Southern end of the lake)

Courtesy of anagahan from RR578
Saint Panteleimon, Ohrid

Courtesy of hidalgo from Postcrossing forum
Lake Ohrid on the Albanian side

Friday, 8 November 2024

1640 TN - Djerba: Testimony to a settlement pattern in an island territory (2023)

Djerba: Testimony to a settlement pattern in an island territory

This serial property is a testimony to a settlement pattern that developed on the island of Djerba around the 9th century CE amidst the semi-dry and water-scarce environment. Low‑density was its key characteristic: it involved the division of the island into neighbourhoods, clustered together, that were economically self-sustainable, connected to each other and to the religious and trading places of the island, through a complex network of roads. Resulting from a mixture of environmental, socio-cultural and economic factors, the distinctive human settlement of Djerba demonstrates the way local people adapted their lifestyle to the conditions of their water-scarce natural environment.



Source UNESCO WH website


  1. Mosquée Sidi Salem 
  2. Mosquée Sidi Smain 
  3. Mosquée Sidi Zekri 
  4. Mosque Moghzel 
  5. Mosquée Sidi Yeti 
  6. Mosquée Guellala 
  7. Mosquée Imghar 
  8. Mosquée Berdaoui 
  9. Mosquée Sidi Jmour 
  10. Mosquée Abou Messouer 
  11. Mosquée Tajdit 
  12. Mosquée Tlakine
  13. Mosquée Medrajen 
  14. Mosquée Esselaouti 
  15. Mosquée Fadhloun 
  16. Mosquée Mthanya 
  17. Mosquée El Fguira 
  18. Mosquée El Bessi 
  19. Mosquée Cheikh 
  20. Mosquée Louta 
  21. Mosquée Welhi 
  22. Mosquée Ben Biène 
  23. Synagogue La Ghriba 
  24. Eglise Saint Nicolas


  5. MEJMEJ  
  7. HOUMT-SOUK    

Z7 HOUMT-SOUK - Mosque of the Turks (In the buffer zone)

ZA1676 - Nelson Mandela Legacy Sites available for swap

 ZA1676-01-1 Union building (1 available)

 ZA1676-01-2 Union building (1 available)

 ZA1676-01-3 Union building (1 available) the border is a bit yellowish